The Black Bruin Experience: UCLA must improve access to resources, support for Black students

A computer lab with three art pieces. UCLA must do more in providing resources and support to Black students and applicants. (Sakshi Joglekar/Assistant Photo editor)

By Laila Wheeler
== Crystal structures, as found in the file ==
- - -
Theoretical PXRD pattern of SbS5Cl for copper Kα, from a DFT-relaxed cell (PBE, Alexandria).
Neutral-atom scattering factors, no anomalous dispersion.

Structure:
```
7
Lattice="5.636 0.000 0.000 -1.177 6.810 0.000 -1.577 -2.076 6.513" Properties=species:S:1:pos:R:3 pbc="T T T"
Sb 0.000 0.000 0.000
S -1.129 1.298 3.787
S -0.156 -0.480 3.634
S -0.992 1.663 5.879
S 3.027 4.739 4.017
S 4.377 4.275 0.025
Cl 2.354 0.230 0.481
```

Largest 10 diffraction maxima, low angle first, 2θ from 10° to 80°:
| 2θ (°) | d [Å] | I/Imax |
| --- | --- | --- |
| 13.6 | 6.502 | 100 |
| 16.1 | 5.509 | 18 |
| 16.6 | 5.330 | 83 |
| 18.8 | 4.714 | 19 |
| 26.7 | 3.340 | 42 |
| 27.4 | 3.257 | 33 |
| 27.5 | 3.244 | 20 |
| 28.6 | 3.126 | 13 |
| 33.1 | 2.705 | 21 |
| 42.6 | 2.125 | 14 |

Theoretical PXRD pattern of SbS3Cl for copper Kα, from a DFT-relaxed cell (PBE, Alexandria).
Neutral-atom scattering factors, no anomalous dispersion.

Structure:
```
10
Lattice="-3.930 5.053 4.961 3.930 -5.053 4.961 3.930 5.053 -4.961" Properties=species:S:1:pos:R:3 pbc="T T T"
Sb 0.000 2.527 1.024
Sb 3.930 2.527 3.937
S 3.930 -0.453 0.833
S 3.930 4.600 -0.833
S -1.965 2.527 2.480
S 1.965 2.527 2.480
S 0.000 0.453 5.794
S 0.000 5.506 4.128
Cl 0.000 0.000 0.000
Cl 0.000 5.053 0.000
```

Largest 10 diffraction maxima, low angle first, 2θ from 10° to 80°:
| 2θ (°) | d [Å] | I/Imax |
| --- | --- | --- |
| 12.5 | 7.080 | 100 |
| 14.4 | 6.161 | 38 |
| 22.6 | 3.930 | 49 |
| 22.8 | 3.907 | 61 |
| 23.0 | 3.875 | 89 |
| 28.0 | 3.190 | 27 |
| 29.0 | 3.080 | 26 |
| 35.5 | 2.528 | 24 |
| 36.6 | 2.455 | 24 |
| 44.8 | 2.023 | 30 |

Theoretical PXRD pattern of SbSCl for copper Kα, from a DFT-relaxed cell (PBE, Alexandria).
Neutral-atom scattering factors, no anomalous dispersion.

Structure:
```
3
Lattice="3.413 -1.969 0.000 3.413 1.969 0.000 -2.125 0.000 6.891" Properties=species:S:1:pos:R:3 pbc="T T T"
Sb 0.000 0.000 0.000
S 0.153 0.000 5.478
Cl 4.558 0.000 1.758
```

Largest 10 diffraction maxima, low angle first, 2θ from 10° to 80°:
| 2θ (°) | d [Å] | I/Imax |
| --- | --- | --- |
| 12.8 | 6.891 | 100 |
| 26.4 | 3.371 | 29 |
| 26.6 | 3.355 | 16 |
| 31.3 | 2.861 | 50 |
| 31.7 | 2.819 | 24 |
| 34.3 | 2.617 | 13 |
| 40.2 | 2.245 | 14 |
| 43.5 | 2.082 | 9 |
| 44.2 | 2.049 | 17 |
| 46.1 | 1.970 | 25 |

Theoretical PXRD pattern of Sb4S5Cl2 for copper Kα, from a DFT-relaxed cell (PBE, Alexandria).
Neutral-atom scattering factors, no anomalous dispersion.

Structure:
```
44
Lattice="11.232 0.000 0.000 0.000 9.537 0.000 0.000 0.000 12.318" Properties=species:S:1:pos:R:3 pbc="T T T"
Sb 0.492 2.384 0.022
Sb 0.642 7.152 6.603
Sb 2.538 5.064 1.832
Sb 2.538 9.241 1.832
Sb 3.078 0.296 7.991
Sb 3.078 4.472 7.991
Sb 4.974 2.384 0.444
Sb 5.124 7.152 6.182
Sb 6.108 2.384 6.137
Sb 6.258 7.152 11.874
Sb 8.154 5.064 4.327
Sb 8.154 9.241 4.327
Sb 8.694 0.296 10.487
Sb 8.694 4.472 10.487
Sb 10.590 2.384 5.715
Sb 10.740 7.152 12.296
S 0.230 0.560 1.723
S 0.230 4.208 1.723
S 2.023 7.152 0.296
S 2.101 5.278 5.864
- - -
== The crystal structures stop here ==
Feb. 9, 2022 10:04 p.m.
“The Black Bruin Experience” is a series by Opinion columnist Laila Wheeler, a first-year sociology student. As a Black student at UCLA, she will be exploring a variety of Black issues, from institutional racism to anti-Blackness to the everyday experiences of being Black in the higher education system. These columns will not only focus on Black trauma, but they will also highlight the multidimensionality of Blackness, including Black creativity, Black success, Black leadership and Black excellence. The Black community at UCLA has been tirelessly advocating for its demands to be heard, and these columns aim to amplify Black voices and call on UCLA administrators to actively work toward creating an anti-racist institution. Black Bruins are welcome to submit op-eds or letters to the editor to be published as part of this series to fully represent the diverse experiences and viewpoints of the Black community.

UCLA has a responsibility to provide all students with opportunities to succeed, but it is evident that race is a determining factor in the inequitable allocation of resources for Black students.
In Fall 2020, the undergraduate enrollment rate for Black students at UCLA was about 5%, which means that out of 31,636 undergraduate students, only 1,723 students are Black or African American. Black people make up 6.5% of California’s total population; therefore, the 5% Black student enrollment rate at UCLA is unrepresentative and lower than it should be.
Black students are more than qualified for admission to UCLA. However, the higher education system was built on institutional racism, which continues to marginalize Black students today.
Black high school students disproportionately attend underfunded schools in economically disadvantaged and racially segregated areas, giving them less access to support services, extracurricular activities and high-quality education.
According to UCLA enrollment data from 2017, the four-year graduation rate for Black students who entered UCLA as freshmen was only 75% – and just 60% for Black males – whereas four-year graduation rates for white and Asian students at UCLA were 86% and 89%, respectively.
UCLA must provide resources to Black students and address the institutional racism ingrained in the higher education system. It’s time for Black students to be given equitable resources and opportunities to receive acceptance to the university and to graduate on time. This has been an ongoing demand that Black Bruins have tirelessly advocated for, with minimal action from administration.
In 2013, Dr. Sy Stokes, a UCLA alumnus and postdoctoral research fellow for the National Center for Institutional Diversity at the University of Michigan, released a spoken word video titled “The Black Bruins,” which addressed issues that Black students at UCLA face. The video currently has over 2.4 million views and garnered international attention and heavy backlash from the public, including some UCLA administrators and faculty who claimed that too many unqualified Black students were being accepted to UCLA, Stokes said.
However, a few administrators supported Black students’ demands, including Vice Provost for Enrollment Management Dr. Youlonda Copeland-Morgan and former Vice Chancellor of Student Affairs Dr. Janina Montero, Stokes added.
As a member of the UCLA Black Male Institute, Stokes – along with a group of 11 Black students and the integral support of director Dr. Tyrone Howard – created a set of goals for UCLA to better support the Black community, including the creation of a Black Bruin Resource Center. Although administrators failed to meet most of these demands at the time, the diversity requirement was successfully approved in 2015.
UCLA celebrated the opening of the Black Bruin Resource Center seven years after the demands were made. However, UCLA only agreed to fully fund the center following the murder of George Floyd and the influence of the Black Lives Matter movement.
Needless to say, administrators should not wait for the tragic loss of Black lives to listen to Black students’ demands. Black students deserve resources always, not just when it is on-trend to stand for Black lives.
“We are convinced to think that change is a slow process. It is not, and it never has been. I think what proved that was one, ‘The Black Bruins,’ video, and two, the summer of 2020,” Stokes said. “It is unfortunate that it takes a visceral, visual example of Black death to get … corporations and institutions to act.”
Crystal structures, kept here for reference >
/*
1.
Theoretical PXRD pattern of AcSmPa2O8 for Cu Kα X-rays, from a PBE-relaxed structure.

The 8 most intense peaks (2θ = 15–90°), sorted by position:
| Position (°2θ) | I/Imax | index |
| --- | --- | --- |
| 27.85 | 100.0 | 1 1 2 |
| 32.05 | 24.5 | 2 0 0 |
| 32.71 | 11.5 | 0 0 4 |
| 45.96 | 17.1 | 2 2 0 |
| 46.45 | 33.3 | 2 0 4 |
| 54.59 | 32.0 | 3 1 2 |
| 55.45 | 15.5 | 1 1 6 |
| 74.80 | 12.9 | 3 1 6 |

Structure:
Cell: 5.585 5.585 10.952 Å, 90.00 90.00 90.00°
Space group I-4m2 (No. 119)
One atom of each set of equivalent atoms:
Ac 0.000 0.000 0.000 x2
Sm 0.000 0.500 0.750 x2
Pa 0.000 0.000 0.500 x2
Pa 0.000 0.500 0.250 x2
O 0.226 0.244 0.372 x16

2.
Theoretical PXRD pattern of Pa2B6Ir9 for Cu Kα X-rays, from a PBE-relaxed structure.

The 8 most intense peaks (2θ = 15–90°), sorted by position:
| Position (°2θ) | I/Imax | index |
| --- | --- | --- |
| 29.58 | 21.1 | 0 0 3 |
| 35.13 | 46.8 | 1 0 3 |
| 37.56 | 100.0 | 2 0 0 |
*/
According to the UCLA Newsroom, “UCLA takes pride in the extraordinary diversity of our students and in providing opportunity for students, regardless of socioeconomic background.”
But the abysmal enrollment rate of Black students certainly does not reflect “extraordinary diversity,” and their low graduation rates also tell a different story than what UCLA advertises.
To clarify, low enrollment and graduation rates of Black students are not a reflection of the students’ academic abilities. These failures are institutional, not individual, and occur on the basis of pervasive, systemic racism and the false rhetoric of Black inferiority that can be detrimental to students’ academic performance.
Gene McAdoo, a doctoral student at the UCLA School of Education & Information Studies who attended UCLA as an undergraduate, published a 2021 research article that examined anti-Blackness at UCLA and the educational barriers that Black students face. McAdoo said an inequitable allocation of resources and support at UCLA contributes to the disproportionately low Black student graduation rates.
“Some Black students aren’t prepared to do well academically at UCLA,” McAdoo said. “I’m not blaming that on them as individuals, but on the societal structures that contribute to their high schools being underfunded … and (Black students) not having access to the same resources that other students have.”
[Data records that have nothing to do with the piece]
[1]
Structure and theoretical XRD peak list of CoOs2W (a crystal structure in Alexandria, relaxed with PBE; Cu Kα X-rays).
Lines closer than 0.1° are merged.

The 6 most intense peaks (2θ from 15° to 90°), low angle first:
hkl, Position (°2θ), I/Imax
0 2 1, 40.53, 100
2 2 0, 41.11, 96
2 0 1, 46.87, 66
0 4 0, 48.70, 30
2 4 1, 69.90, 40
2 2 2, 82.31, 26

Structure:
```
data_CoOs2W
_chemical_formula_sum 'Co2 Os4 W2'
_symmetry_space_group_name_H-M 'C m m m'
_symmetry_Int_Tables_number 65
_symmetry_space_group_name_Hall '-C 2 2'
_cell_length_a 5.4258
_cell_length_b 7.4794
_cell_length_c 2.7701
_cell_angle_alpha 90.00
_cell_angle_beta 90.00
_cell_angle_gamma 90.00
loop_
_atom_site_label
_atom_site_type_symbol
_atom_site_fract_x
_atom_site_fract_y
_atom_site_fract_z
Co1 Co 0.0000 0.0000 0.0000
Os1 Os 0.2500 0.2500 0.5000
W1 W 0.0000 0.5000 0.0000
```

***

[2]
Structure and theoretical XRD peak list of CsPuScS4 (a crystal structure in Alexandria, relaxed with PBE; Cu Kα X-rays).
Lines closer than 0.1° are merged.

The 6 most intense peaks (2θ from 15° to 90°), low angle first:
hkl, Position (°2θ), I/Imax
1 1 -1, 19.60, 100
1 1 1, 21.87, 97
0 1 2, 23.91, 50
0 2 0, 25.92, 76
2 1 -1, 28.93, 73
2 1 1, 32.10, 74

Structure:
```
data_CsPuScS4
_chemical_formula_sum 'Cs2 Pu2 Sc2 S8'
_symmetry_space_group_name_H-M 'P 1 21/m 1'
_symmetry_Int_Tables_number 11
_cell_length_a 7.0665
_cell_length_b 6.8738
_cell_length_c 9.0028
_cell_angle_alpha 90.00
_cell_angle_beta 100.47
_cell_angle_gamma 90.00
loop_
_symmetry_equiv_pos_as_xyz
'x,y,z'
'-x,-y,-z'
'-x,y+1/2,-z'
'x,-y+1/2,z'
loop_
_atom_site_label
_atom_site_type_symbol
_atom_site_fract_x
_atom_site_fract_y
_atom_site_fract_z
Cs1 Cs 0.1706 0.2500 0.0747
Pu1 Pu 0.1553 0.7500 0.4577
Sc1 Sc 0.3806 0.2500 0.6586
S1 S 0.1268 0.0047 0.6838
S2 S 0.2976 0.7500 0.1958
S3 S 0.4710 0.2500 0.4155
```

***

[3]
Structure and theoretical XRD peak list of Ca2PbO3 (a crystal structure in Alexandria, relaxed with PBE; Cu Kα X-rays).
Lines closer than 0.1° are merged.

The 6 most intense peaks (2θ from 15° to 90°), low angle first:
hkl, Position (°2θ), I/Imax
2 0 0, 16.64, 43
1 1 0, 19.61, 63
3 1 0, 30.88, 50
1 1 -2, 31.15, 48
0 2 0, 35.96, 100
2 2 2, 51.75, 45

Structure:
```
data_Ca2PbO3
_chemical_formula_sum 'Ca8 Pb4 O12'
_symmetry_space_group_name_H-M 'C 1 2/c 1'
_symmetry_Int_Tables_number 15
_cell_length_a 11.2170
_cell_length_b 5.0018
_cell_length_c 7.0133
_cell_angle_alpha 90.00
_cell_angle_beta 108.22
_cell_angle_gamma 90.00
loop_
_symmetry_equiv_pos_as_xyz
'x,y,z'
'-x,-y,-z'
'-x,y,-z+1/2'
'x,-y,z+1/2'
'x+1/2,y+1/2,z'
'-x+1/2,-y+1/2,-z'
'-x+1/2,y+1/2,-z+1/2'
'x+1/2,-y+1/2,z+1/2'
loop_
_atom_site_label
_atom_site_type_symbol
_atom_site_fract_x
_atom_site_fract_y
_atom_site_fract_z
Ca1 Ca 0.1675 0.0000 0.0837
Pb1 Pb 0.0000 0.4999 0.2500
O1 O 0.0000 0.0041 0.2500
O2 O 0.1845 0.4998 0.0923
```

***

[4]
Structure and theoretical XRD peak list of Li2LaPr2Ga2 (a crystal structure in Alexandria, relaxed with PBE; Cu Kα X-rays).
[The piece goes on]
For example, schools that are predominantly composed of students of color spend $733 less per student each year than predominantly white schools, according to the United Negro College Fund.
UCLA needs to listen to Black students and the needs voiced by the community. As recent as October, the Afrikan Student Union was calling for increased funding for the Black Bruin Resource Center, which has been open for a little over a year – including the time it operated virtually. Although the center is undeniably a major win for the Black community, the university fails to invest in high-quality services, and Black students are often given the bare minimum.
Administrators must provide more accommodating financial aid services, academic resources and holistic support for Black students to graduate on time.
Leilani Fu’Qua, a third-year English and public affairs student and the editor in chief of Nommo Magazine, UCLA’s Afrikan newsmagazine, said she would never forget walking into her first lecture hall and seeing less than five Black people in a crowd of 300 students. This is a shared experience among many Black Bruins, which may lead to students feeling like they don’t belong at the university.
But that couldn’t be further from the truth.
Black Bruins Matter. Black Futures Matter. Black students are future leaders, innovators, entrepreneurs, doctors, scientists and more than we could ever imagine.
As the No. 1 public university in the nation, UCLA must do better. Support, guide and provide equitable resources and opportunities to your Black students. The future depends on it.